Chapter 1: Mastering Strategy: Art and Science
Understanding the Strategic Management Process
Learning Objectives
- Learn the strategic management process.
- Understand the four steps in the strategic management process.
Modeling the Strategy Process
Strategic management is a process that involves building a careful understanding of how the world is changing, as well as a knowledge of how those changes might affect a particular firm. CEOs, such as late Apple-founder Steve Jobs, must be able to carefully manage the possible actions that their firms might take to deal with changes that occur in their environment. We present a model of the strategic management process in Figure 1.11 “Overall Model of the Strategic Management Process.” This model also guides our presentation of the chapters contained in this book.

The strategic management process begins with an understanding of strategy and performance. As we have noted in this introductory chapter, strategic management is both an art and a science, and it involves multiple conceptualizations of the notion of strategy drawn from recent and ancient history. In Chapter 2 “Leading Strategically,” we focus on how leading strategically is needed if the firm is to achieve the long-term strong performance companies such as Apple have attained. Consequently, how managers understand and interpret the performance of their firms is often central to understanding strategy.
Environmental and internal scanning is the next stage in the process. Managers must constantly scan the external environment for trends and events that affect the overall economy, and they must monitor changes in the particular industry in which the firm operates. For example, Apple’s decision to create the iPhone demonstrates its ability to interpret that traditional industry boundaries that distinguished the cellular phone industry and the computer industry were beginning to blur. At the same time, firms must evaluate their own resources to understand how they might react to changes in the environment. For example, intellectual property is a vital resource for Apple. Between 2008 and 2010, Apple filed more than 350 cases with the U.S. Patent and Trademark Office to protect its use of such terms as apple, pod, and safari (Wikipedia, 2014).
A classic management tool that incorporates the idea of scanning elements both external and internal to the firm is SWOT (strengths, weaknesses, opportunities, and threats) analysis. Strengths and weaknesses are assessed by examining the firm’s resources, while opportunities and threats refer to external events and trends. The value of SWOT analysis parallels ideas from classic military strategists such as Sun Tzu, who noted the value of knowing yourself as well as your opponent. Chapter 3 “Evaluating the External Environment” examines the topic of evaluating the external environment in detail, and Chapter 4 “Managing Firm Resources” presents concepts and tools for managing firm resources.

Strategy formulation is the next step in the strategic management process. This involves developing specific strategies and actions. Certainly, part of Apple’s success is due to the unique products it offers the market, as well as how these products complement one another. A customer can buy an iPod that plays music from iTunes—all of which can be stored in Apple’s Mac computer. In Chapter 5 “Selecting Business-Level Strategies,” we discuss how selecting business-level strategies helps to provide firms with a recipe that can be followed that will increase the likelihood that their strategies will be successful. In Chapter 6 “Supporting the Business-Level Strategy: Competitive and Cooperative Moves,” we present insights on how firms can support the business-level strategy through competitive and cooperative moves. Chapter 7 “Competing in International Markets” presents possibilities for firms competing in international markets, and Chapter 8 “Selecting Corporate-Level Strategies” focuses on selecting corporate-level strategies.
Someone pasted calculated molecules at this point:
No. 1
8
Properties=species:S:1:pos:R:3:forces:R:3 method="wB97M-V/def2-TZVPD" s_squared=0.75 max_force_ev_per_a=5.940 e_tot_ha=-365.71904 charge=+1 multiplicity=2
H -0.2661 -0.5553 1.3812 0.41 -1.95 -0.38
O 0.1660 -1.2791 -0.7926 -1.55 -0.78 -1.71
C 0.4302 -0.6359 0.2685 -0.03 5.56 2.10
C -0.2563 0.7138 0.4344 3.63 -0.33 -3.61
O -1.0325 1.0573 -0.5038 -1.04 -0.77 0.21
F 1.7770 -0.4883 0.5939 -1.37 -0.94 0.30
H 0.3029 1.4821 1.0013 -1.05 -0.56 0.81
Y -1.1211 -0.2946 -2.3830 1.00 -0.23 2.29

No. 2
9
Properties=species:S:1:pos:R:3:forces:R:3 method="wB97M-V/def2-TZVPD" max_force_ev_per_a=2.386 e_tot_ha=-801.19212 charge=-1
C 1.1933 0.3763 -1.3253 -0.18 -1.31 1.99
C 1.0232 -0.2995 -0.3270 -0.57 0.42 -0.94
O -1.0394 0.2288 0.9059 0.72 -1.27 1.38
O 0.8868 -0.6705 2.2177 -0.66 0.30 -0.35
O -0.4910 -2.1696 0.8697 0.50 1.26 -0.21
F -1.5512 1.4855 -0.9426 -0.33 0.75 -1.46
S 0.0017 -0.8084 1.0761 0.51 -0.86 -0.17
H 1.1995 1.0780 -2.0971 0.29 0.42 -0.79
H -1.2230 0.7793 -0.3774 -0.28 0.30 0.54

No. 3
7
Properties=species:S:1:pos:R:3:forces:R:3 method="wB97M-V/def2-TZVPD" s_squared=3.77 max_force_ev_per_a=3.796 e_tot_ha=-1195.96341 charge=+1 multiplicity=4
C 0.8461 -0.3787 0.2073 1.14 1.30 3.38
C 0.4248 -0.9060 1.4793 -0.72 -2.07 -0.91
O 0.1604 0.0973 -0.6796 1.79 -0.87 -0.14
H 1.7919 0.1151 0.7088 -0.09 -0.41 -1.81
F 0.3907 -2.1797 1.5897 0.17 0.54 0.73
V -1.2540 1.1415 -1.2999 -1.78 0.83 -0.89
H -2.3598 2.1105 -2.0056 -0.50 0.67 -0.36

No. 4
6
Properties=species:S:1:pos:R:3:forces:R:3 method="wB97M-V/def2-TZVPD" max_force_ev_per_a=3.402 e_tot_ha=-518.50791 charge=0
C 0.0112 -0.2985 -0.4293 1.84 -0.13 -1.01
C -0.3256 0.0661 0.6672 -1.73 0.12 1.28
F -0.0385 0.3576 3.2111 -0.53 -0.11 -0.20
P -1.2771 0.0101 2.2312 -0.18 2.82 -0.14
H 0.6676 -0.5320 -1.2807 -1.11 0.19 0.65
H -2.1568 1.7450 2.3716 1.71 -2.89 -0.57

No. 5
6
Properties=species:S:1:pos:R:3:forces:R:3 method="wB97M-V/def2-TZVPD" s_squared=2.01 max_force_ev_per_a=3.325 e_tot_ha=-305.81014 charge=0 multiplicity=3
O -0.0772 -0.5566 -0.0682 -0.79 1.32 -0.68
Hg 2.3376 -1.0580 -0.4636 1.95 -0.32 -0.49
C -0.0106 -1.4225 0.8178 -0.56 0.10 0.92
C -0.3925 0.9352 0.0358 -2.08 -2.54 -0.56
H -0.5865 1.1586 -1.0263 0.64 0.62 0.67
H -1.2708 0.9433 0.7044 0.84 0.80 0.14

No. 6
7
Properties=species:S:1:pos:R:3:forces:R:3 method="wB97M-V/def2-TZVPD" max_force_ev_per_a=9.719 e_tot_ha=-381.02111 charge=0
H 0.9408 1.0407 -0.6300 -1.26 -0.30 0.60
O -1.2944 0.3854 0.3690 2.13 7.40 3.10
C 0.0611 0.5948 0.4013 -0.12 -0.71 0.21
C 0.9298 -0.3410 -0.2679 -0.19 -1.27 0.03
O 0.3409 -1.3372 -0.8981 6.40 1.10 -1.58
H 0.4930 0.9856 1.3401 -0.22 0.64 -0.94
Hg -1.4712 -1.3283 -0.3143 -6.74 -6.86 -1.41

No. 7
10
Properties=species:S:1:pos:R:3:forces:R:3 method="wB97M-V/def2-TZVPD" max_force_ev_per_a=2.159 e_tot_ha=-2151.81716 charge=0
C 0.5828 1.1061 -0.1698 0.09 2.00 -0.81
C 0.4609 0.6214 1.0372 -0.28 -0.96 1.27
P -0.2521 -2.2685 -1.4498 -1.01 0.59 0.01
P 1.4798 -0.8872 1.3523 -0.06 0.33 1.29
S -1.7830 -1.2975 -0.3155 0.50 -0.69 -0.20
End of the calculated molecules:
Strategy implementation is the final stage of the process. One important element of strategy implementation entails crafting an effective organizational structure and corporate culture. For example, part of Apple’s success is due to its consistent focus on innovation and creativity that Steve Jobs described as similar to that of a start-up. Chapter 9 “Executing Strategy through Organizational Design” offers ideas on how to manage these elements of implementation. The final chapter explores how to lead an ethical organization through corporate governance, social responsibility, and sustainability.
Key Takeaways
- Strategic management is a process that requires the ability to manage change. Consequently, executives must be careful to monitor and to interpret the events in their environment, to take appropriate actions when change is needed, and to monitor their performance to ensure that their firms are able to survive and, it is hoped, thrive over time.
- Who makes the strategic decisions for most organizations?
- Why is it important to view strategic management as a process?
- What are the four steps of the strategic management process?
- How is chess relevant to the study of strategic management? What other games might help teach strategic thinking?
Wikipedia Organization. (2014). Apple Inc. litigation. Retrieved from
Image descriptions
Figure 1.11 image description: Overall Model of the Strategic Management Process
- “Understanding Strategy and Performance” is covered in Chapter 1 “Mastering Strategy: Art and Science,” and Chapter 2 “Leading Logically.”
- “Environmental and Internal Scanning” is covered in Chapter 3 “Evaluating the External Environment,” and Chapter 4 “Managing Firm Resources.”
- “Strategy Formulation” is covered in in Chapter 5 “Selecting Business Business-Level Strategies,” Chapter 6 “Supporting the Business-level Strategy: Competitive and Cooperative Moves,” Chapter 7 “Competing in International Markets,” and Chapter 8 “Selecting Corporate-Level Strategies.”
- “Strategy Implementation” is covered in Chapter 9 “Crafting Organizational Structure and Corporate Culture,” and Chapter 10 “Leading an Ethical Organization: Corporate Governance, Social Responsibility, and Sustainability.”